Smallest dinosaur--structure and form 
Smallest dinosaur--structure and form  

This Discovery Of The Smallest Dinosaur Also Reconfirms Some Facts Of Early Geography 

ByAravindan Neelakandan

The discovery of this tiny ‘dinosaur’ gives more information than just relating to ancient organisms.

In northern Myanmar, trapped inside approximately a 99-million-year-old amber, are the remains of a humming bird-like creature. More specifically, its skeletal parts.

For scientists, 'the find appears to represent the smallest known dinosaur of the Mesozoic era, rivalling the bee hummingbird ... the smallest living bird—in size.'

With quite a large eye socket along with overlapping membrane bones surrounding the eye cornea, form of the remains suggests a resemblance to lizards.

The overlapping membrane bones, embedded in what surrounds the cornea, are called scleral ossicles.

In this bird-lizard like creature, we find them conically arranged.

This arrangement made the pupil of the animal small. This is a typical adaptation for the eye to operate in bright light.

This means the humming bird-sized bird-lizard operated in sun light. According to a paper published in ‘Nature’, this creature was diurnal (operating in daytime).

Scientists have named this organism as Oculudentavis khaungraae.

‘Oculudentavis’ means eye-tooth bird.

The upper jaw of the animal shows 40 sharp teeth. The unusually large eyes along with the teeth show that the animal was probably predatory.

Perhaps it swarmed in on the prey?

Perhaps it formed social groups?

This is the stuff of films like Jurassic Park are made. But as we await further details from the study - including the rare preservation of the tongue of the animal- we can be sure that often the facts turn out to be stranger than fiction.

Trapped inside the amber 99 millions years ago - the ‘smallest dinosaur’ gets a reconstruction.

The total length of this ‘dinosaur’ is merely 1.5 cm and it weighed perhaps 2 grams.

'Miniaturization most commonly arises in isolated environments', point out the scientists associated with find. And hence, this throws light on the early ecological systems then existed 99 million years ago.

‘Isolated environments’ here essentially means islands.

Geo-scientists studying ancient continental drifts have put forth the view that Burma Terrane was part of the Trans-Tethyan arc when the Indian land mass collided with Asia.

Myanmar is today quite famous with palentologists for its rich 'Cretaceous amber biota' - organims trapped and their body parts preserved in ancient amber.

A paper published in 'Nature Geoscience' last year (October 2019) states that 'the Burma Terrane was part of a Trans-Tethyan island arc and stood at a near-equatorial southern latitude approximately 95 million years ago, suggesting island endemism for the Burmese amber biota.'

Endemism means a species becomes uniquely adapted to an isolated terrain, like islands.

- - -
Entry from Alexandria via LeMat-Bulk: a relaxed SnBi2Pd2 crystal (PBE-GGA).

Summary:
**Excess energy over the best structure of this formula in the dataset**: 0.0000 eV per atom
**Energy of formation**: -0.270 eV/atom

Lattice parameters (Å, degrees): 6.8440 6.8257 10.2823 90.00 90.00 90.00
Last column: nearest neighbours and their distance in Å.
Fractional positions:
Sn: 0.4969 0.2487 0.3351  6 Pd 2.85-3.07
Sn: 0.5031 0.7513 0.6649  6 Pd 2.85-3.07
Sn: 0.9969 0.2513 0.3351  6 Pd 2.85-3.07
Sn: 0.0031 0.7487 0.6649  6 Pd 2.85-3.07
Bi: 0.5004 0.2508 0.9985  4 Pd 2.91-3.07
Bi: 0.0004 0.2492 0.9985  4 Pd 2.91-3.07
Bi: 0.9996 0.7508 0.0015  4 Pd 2.91-3.07
Bi: 0.4996 0.7492 0.0015  4 Pd 2.91-3.07
Bi: 0.9951 0.7442 0.3306  6 Pd 2.91-3.09
Bi: 0.4951 0.7558 0.3306  6 Pd 2.91-3.09
Bi: 0.5049 0.2442 0.6694  6 Pd 2.91-3.09
Bi: 0.0049 0.2558 0.6694  6 Pd 2.91-3.09
Pd: 0.7503 0.0219 0.1711  2 Sn 2.85-2.87, 6 Bi 2.91-3.07
Pd: 0.2503 0.4781 0.1711  2 Sn 2.85-2.87, 6 Bi 2.91-3.07
Pd: 0.7497 0.5219 0.8289  2 Sn 2.85-2.87, 6 Bi 2.91-3.07
Pd: 0.2497 0.9781 0.8289  2 Sn 2.85-2.87, 6 Bi 2.91-3.07
Pd: 0.7386 0.5001 0.4895  4 Sn 2.86-3.07, 4 Bi 2.91-3.09
Pd: 0.2386 0.9999 0.4895  4 Sn 2.86-3.07, 4 Bi 2.91-3.09
Pd: 0.7614 0.0001 0.5105  4 Sn 2.86-3.07, 4 Bi 2.91-3.09
Pd: 0.2614 0.4999 0.5105  4 Sn 2.86-3.07, 4 Bi 2.91-3.09

=====

VASP calculation (SCAN) on Y2PbSe at its PBEsol-relaxed geometry.

Cell: 4.166 4.166 7.412 Å, 73.68 73.68 60.00°
Fractional positions:
Pb  0.000  0.000  0.000
Y  0.245  0.245  0.265
Se  0.500  0.500  0.500
Y  0.755  0.755  0.735

For the volume, the calculation gives 26.34 A^3/atom. The energy above the most stable polymorph in this dataset is 29 meV per atom. The formation energy without anion corrections comes out at -5.70 eV per formula unit.

VASP calculation (SCAN) on Y2PbSe at its PBEsol-relaxed geometry.

Cell: 3.569 5.376 5.376 Å, 92.05 97.74 97.74°
Fractional positions:
Y  0.000  0.500  0.000
Se  0.500  0.500  0.500
Pb  0.500  0.000  0.000
Y  0.000  0.000  0.500

For the volume, the calculation gives 25.28 A^3/atom. The energy above the most stable polymorph in this dataset is 345 meV per atom. The formation energy without anion corrections comes out at -4.44 eV per formula unit.

=====

This record from the Alexandria database describes an optimized crystal structure of KInP2. The functional is GGA-PBE.

a = 9.482 Å, b = 9.482 Å, c = 9.482 Å
α = 148.09°, β = 148.09°, γ = 45.75°
Positions (direct):
K 0.000 0.000 0.000
K 0.750 0.250 0.500
In 0.250 0.750 0.500
In 0.500 0.500 0.000
P 0.295 0.625 0.170
P 0.375 0.545 0.670
P 0.455 0.125 0.830
P 0.875 0.705 0.330

=====

This record from the Alexandria database describes an optimized crystal structure of KInP2. The functional is GGA-PBE.

a = 6.734 Å, b = 6.734 Å, c = 4.134 Å
α = 90.10°, β = 90.10°, γ = 34.67°
Positions (direct):
K 0.000 0.000 0.000
In 0.299 0.299 0.500
P 0.640 0.640 0.501
P 0.722 0.722 0.001

=====
- - -

A good example of this are 15 species which are now famous as the 'Darwin's finches', which the great biologist studied in Galapago islands in the study which helped Darwin discover natural selection.

Scientists think that 'the diminutive size of Oculudentavis is therefore consistent with previous suggestions that this amber formed on an island within the Trans-Tethyan arc.'

So, this dinosaur could have been part of an island ecosystem.

Hitherto unseen, such a body plan for a bird-lizard with sharp teeth and unusually large eyes may suggest also ‘a previously undetected ecology’ and the lowest limits to which the body size could be pushed in such an ecology, says the paper.

That this study has been made by a team mainly of Chinese scientists in the conflict-torn Northern Myanmar is also another aspect of the study. The question also arises as to why Indian scientists are not that much involved in such exploratory studies in neighboring countries.

### Here the text breaks off for calculated crystals
~~~
Entry 1:
{"formula": "MnNb3Si", "functional": "GGA-PBEsol", "state": "optimized geometry", "lattice": [[4.505, 0.000, 0.000], [0.000, 4.505, 0.000], [0.000, 0.000, 4.505]], "species": ["Mn", "Nb", "Nb", "Nb", "Si"], "fractional_positions": [[0.000, 0.000, 0.000], [0.000, 0.000, 0.500], [0.000, 0.500, 0.000], [0.500, 0.000, 0.000], [0.500, 0.500, 0.500]], "e_form_raw_kj_per_mol_atoms": 67.9, "magnetic_moment_mub_per_cell": 0.0, "spacegroup": "Pm-3m, No. 221"}



Entry 2:
{"formula": "Mn3NbSi", "functional": "GGA-PBEsol", "state": "optimized geometry", "lattice": [[4.099, 0.000, 0.000], [0.000, 4.099, 0.000], [0.000, 0.000, 4.099]], "species": ["Mn", "Mn", "Mn", "Nb", "Si"], "fractional_positions": [[0.000, 0.000, 0.500], [0.000, 0.500, 0.000], [0.500, 0.000, 0.000], [0.500, 0.500, 0.500], [0.000, 0.000, 0.000]], "e_form_raw_kj_per_mol_atoms": 63.7, "magnetic_moment_mub_per_cell": 1.9, "spacegroup": "Pm-3m, No. 221"}



Entry 3:
{"formula": "Mn8Nb3Si", "functional": "GGA-PBEsol", "state": "optimized geometry", "lattice": [[4.698, 0.000, 0.000], [-2.349, 4.068, 0.000], [0.000, 0.000, 7.733]], "species": ["Mn", "Mn", "Mn", "Mn", "Mn", "Mn", "Mn", "Mn", "Nb", "Nb", "Nb", "Si"], "fractional_positions": [[0.000, 0.000, 0.000], [0.000, 0.000, 0.492], [0.173, 0.347, 0.251], [0.173, 0.827, 0.251], [0.341, 0.171, 0.757], [0.653, 0.827, 0.251], [0.829, 0.171, 0.757], [0.829, 0.659, 0.757], [0.333, 0.667, 0.585], [0.667, 0.333, 0.060], [0.667, 0.333, 0.439], [0.333, 0.667, 0.945]], "e_form_raw_kj_per_mol_atoms": -16.4, "magnetic_moment_mub_per_cell": 0.5, "spacegroup": "P3m1, No. 156"}



Entry 4:
{"formula": "SrMn2Nb", "functional": "GGA-PBEsol", "state": "optimized geometry", "lattice": [[0.000, 3.364, 3.364], [3.364, 0.000, 3.364], [3.364, 3.364, 0.000]], "species": ["Sr", "Mn", "Mn", "Nb"], "fractional_positions": [[0.000, 0.000, 0.000], [0.250, 0.250, 0.250], [0.750, 0.750, 0.750], [0.500, 0.500, 0.500]], "magnetic_moment_mub_per_cell": 4.7, "delta_e_f_mev_per_atom": 884, "spacegroup": "Fm-3m, No. 225"}



Entry 5:
{"formula": "TaMnNb3", "functional": "GGA-PBEsol", "state": "optimized geometry", "lattice": [[4.528, 0.000, 0.000], [0.000, 4.528, 0.000], [0.000, 0.000, 4.528]], "species": ["Ta", "Mn", "Nb", "Nb", "Nb"], "fractional_positions": [[0.000, 0.000, 0.000], [0.500, 0.500, 0.500], [0.000, 0.500, 0.500], [0.500, 0.000, 0.500], [0.500, 0.500, 0.000]], "magnetic_moment_mub_per_cell": 0.0, "delta_e_f_mev_per_atom": 843, "spacegroup": "Pm-3m, No. 221"}



Entry 6:
{"formula": "Mn2NbTe2", "functional": "GGA-PBEsol", "state": "optimized geometry", "lattice": [[-1.760, 1.760, 7.411], [1.760, -1.760, 7.411], [1.760, 1.760, -7.411]], "species": ["Mn", "Mn", "Nb", "Te", "Te"], "fractional_positions": [[0.250, 0.750, 0.500], [0.750, 0.250, 0.500], [0.000, 0.000, 0.000], [0.389, 0.389, 0.000], [0.611, 0.611, 0.000]], "e_form_raw_kj_per_mol_atoms": 28.7, "magnetic_moment_mub_per_cell": 6.8, "spacegroup": "I4/mmm, No. 139"}



Entry 7:
~~~
### Here the text continues

(Journal reference: Lida Xiang et al, Hummingbird-sized dinosaur from the Cretaceous period of Myanmar, Nature volume 579, pages245–249(2020) )